Data
┌──
[1]
Material: TaTl2Rh
Method: DFT, GGA-PBEsol
State: optimized geometry

a b c (Å): 3.169 3.169 7.322
angles (deg): 90.00 90.00 90.00
Atoms (fractional coordinates):
1 Ta 0.000 0.000 0.000
2 Tl 0.500 0.500 0.269
3 Tl 0.500 0.500 0.731
4 Rh 0.000 0.000 0.500

Results
E above lowest polymorph (meV/atom): 307
Formation energy (eV/atom): 0.38


[2]
Material: Ba2CaMg2
Method: DFT, GGA-PBEsol
State: optimized geometry

a b c (Å): 8.765 8.765 5.497
angles (deg): 90.00 90.00 90.00
Atoms (fractional coordinates):
1 Ba 0.175 0.325 0.000
2 Ba 0.325 0.825 0.000
3 Ba 0.675 0.175 0.000
4 Ba 0.825 0.675 0.000
5 Ca 0.000 0.000 0.500
6 Ca 0.500 0.500 0.500
7 Mg 0.123 0.623 0.500
8 Mg 0.377 0.123 0.500
9 Mg 0.623 0.877 0.500
10 Mg 0.877 0.377 0.500

Results
Formation energy (eV/atom): 0.02


[3]
Material: SrTl3Cl
Method: DFT, GGA-PBEsol
State: optimized geometry

a b c (Å): 6.187 6.187 6.187
angles (deg): 90.00 90.00 90.00
Atoms (fractional coordinates):
1 Sr 0.000 0.000 0.000
2 Tl 0.000 0.000 0.500
3 Tl 0.000 0.500 0.000
4 Tl 0.500 0.000 0.000
5 Cl 0.500 0.500 0.500


[4]
Material: AgSbBr3
Method: DFT, GGA-PBEsol
State: optimized geometry

a b c (Å): 5.526 5.526 5.526
angles (deg): 90.00 90.00 90.00
Atoms (fractional coordinates):
1 Ag 0.000 0.000 0.000
2 Sb 0.500 0.500 0.500
3 Br 0.000 0.500 0.500
4 Br 0.500 0.000 0.500
5 Br 0.500 0.500 0.000


[5]
Material: FeSb2MoAs
Method: DFT, GGA-PBEsol
State: optimized geometry

a b c (Å): 5.249 5.249 4.219
angles (deg): 90.00 90.00 90.00
Atoms (fractional coordinates):
1 Fe 0.000 0.000 0.000
2 Sb 0.000 0.500 0.500
3 Sb 0.500 0.000 0.500
4 Mo 0.500 0.500 0.000
5 As 0.000 0.000 0.500


[6]
Material: KCrMo2
Method: DFT, GGA-PBEsol
State: optimized geometry

a b c (Å): 2.898 2.898 29.468
angles (deg): 90.00 90.00 120.00
Atoms (fractional coordinates):
1 K 0.000 0.000 0.000
2 K 0.333 0.667 0.667
3 K 0.667 0.333 0.333
4 Cr 0.000 0.000 0.500
5 Cr 0.333 0.667 0.167
6 Cr 0.667 0.333 0.833
7 Mo 0.000 0.000 0.229
8 Mo 0.000 0.000 0.771
9 Mo 0.333 0.667 0.438
10 Mo 0.333 0.667 0.895
11 Mo 0.667 0.333 0.105
12 Mo 0.667 0.333 0.562

Results
E above lowest polymorph (meV/atom): 120
Formation energy (eV/atom): 0.96


[7]
Material: MnIn2Se
Method: DFT, GGA-PBEsol
State: optimized geometry

a b c (Å): 3.542 3.542 6.448
angles (deg): 90.00 90.00 90.00
Atoms (fractional coordinates):
1 Mn 0.000 0.000 0.000
2 In 0.500 0.500 0.239
3 In 0.500 0.500 0.761
4 Se 0.000 0.000 0.500


[8]
Material: NaCaTcC2
Method: DFT, GGA-PBEsol
State: optimized geometry

a b c (Å): 4.107 4.107 5.082
angles (deg): 90.00 90.00 90.00
Atoms (fractional coordinates):
1 Na 0.000 0.000 0.000
2 Ca 0.500 0.500 0.000
3 Tc 0.500 0.500 0.500
4 C 0.000 0.500 0.500
5 C 0.500 0.000 0.500

Results
Formation energy (eV/atom): 1.26


[9]
Material: CrSnPd2Se
Method: DFT, GGA-PBEsol
State: optimized geometry

a b c (Å): 4.833 4.833 5.010
angles (deg): 90.00 90.00 90.00
Atoms (fractional coordinates):
1 Cr 0.000 0.000 0.000
2 Sn 0.000 0.000 0.500
3 Pd 0.000 0.500 0.500
4 Pd 0.500 0.000 0.500
5 Se 0.500 0.500 0.000


[10]
Material: BWN2
Method: DFT, GGA-PBEsol
State: optimized geometry

a b c (Å): 4.416 4.416 7.143
angles (deg): 90.00 90.00 90.00
Atoms (fractional coordinates):
1 B 0.000 0.000 0.000
2 B 0.000 0.500 0.250
3 B 0.500 0.000 0.750
4 B 0.500 0.500 0.500
5 W 0.000 0.000 0.500
6 W 0.000 0.500 0.750
7 W 0.500 0.000 0.250
8 W 0.500 0.500 0.000
9 N 0.155 0.250 0.125
10 N 0.250 0.655 0.375
11 N 0.250 0.845 0.875
12 N 0.345 0.250 0.625
13 N 0.655 0.750 0.625
14 N 0.750 0.155 0.875
15 N 0.750 0.345 0.375
16 N 0.845 0.750 0.125
└──

Exercise
Print every line above that contains the word "Se".

Outcome
4 Se 0.000 0.000 0.500
5 Se 0.500 0.500 0.000